Trees: Pre-Order Tree Traversal

    Trees: Pre-Order Tree Traversal

      If you're looking for something in a tree, you can’t just jump around randomly looking for one specific leaf. That would be ridiculous—not to mention inefficient. You need to have some sort of order when you search.

      Enter: the pre-order tree traversal.

      There are three main ways (besides a Breadth-First Search) for computer scientists to traverse their trees:

      • Pre-order
      • In-order
      • Post-order

      When you actually code these traversals, you can turn them into functions and call them recursively to get the job done.

Calculated molecules that have nothing to do with the piece:
No. 1
ORCA calculation (ωB97M-V/def2-TZVPD) on a structure of composition C36H31Cl4N3O7RuSSi.

Results
HOMO level (alpha / beta) in eV: -7.36 / -7.34
HOMO-LUMO gap (alpha / beta) in eV: 6.19 / 6.35

XYZ file:
```
84
Properties=species:S:1:pos:R:3:forces:R:3
Ru 0.831394 2.073727 -0.161196 1.0 0.4 -0.8
C -0.248506 -5.446273 -2.160696 0.1 -0.3 -0.1
O -0.738906 -4.152373 -1.897296 -0.4 0.4 0.2
C -1.881406 -4.034773 -1.142396 0.1 0.1 0.0
C -2.580006 -5.098873 -0.601996 0.2 0.0 -0.2
C -3.697306 -4.874273 0.188604 -0.1 0.0 0.2
C -4.094506 -3.583873 0.470904 0.0 -0.1 0.0
C -3.402206 -2.506973 -0.060596 0.1 0.0 0.0
C -2.316506 -2.716373 -0.895496 -0.1 -0.2 0.0
N -1.582606 -1.696273 -1.505496 0.3 0.0 -0.4
C -1.615706 -0.342473 -1.249396 0.2 0.1 -0.4
N -2.848206 0.224527 -1.239396 -0.3 -0.4 -0.1
C -3.186606 1.564727 -1.075296 0.0 0.5 0.0
C -2.588106 2.429327 -0.162096 -0.4 0.0 -0.1
C -2.960906 3.763027 -0.085696 0.2 -0.2 0.1
C -3.969606 4.240827 -0.898996 0.0 -0.2 0.1
C -4.663206 3.372727 -1.727496 0.0 -0.2 -0.1
C -4.288306 2.042227 -1.810296 0.3 -0.1 0.2
O -4.946206 1.101327 -2.575596 0.5 0.3 0.1
C -6.331606 0.980827 -2.309296 -0.3 -0.1 0.1
N -0.527806 0.355127 -1.179196 -0.2 0.6 0.0
C 0.709994 -0.303773 -1.040896 -0.1 -0.1 0.1
C 1.748594 -0.056373 -1.949496 -0.3 0.2 0.2
C 2.968394 -0.699773 -1.806396 0.3 -0.1 0.1
C 3.152894 -1.605773 -0.777596 -0.1 0.3 -0.3
C 2.130594 -1.880673 0.120904 -0.4 -0.1 0.2
C 0.910094 -1.239473 0.008104 -0.2 0.0 0.3
O -0.160706 -1.411373 0.844304 0.6 0.4 -0.7
C -0.073706 -2.371673 1.865804 0.0 -0.3 0.3
H 0.667994 -5.305073 -2.732396 -0.1 0.0 0.0
H -0.964506 -6.026073 -2.752196 0.1 0.0 0.0
H -0.013506 -5.993573 -1.240296 -0.1 0.1 0.0
H -2.257106 -6.109473 -0.787996 0.0 -0.1 0.0
H -4.228506 -5.715473 0.604704 -0.1 -0.1 0.0
H -4.945306 -3.401673 1.107204 -0.1 0.0 0.1
H -3.685706 -1.505373 0.214404 -0.1 0.1 0.0
H -0.684306 -2.026273 -1.843896 -0.1 0.1 0.1
H -3.586706 -0.301173 -1.696796 0.3 0.0 0.1
H -2.454706 4.404827 0.618004 0.1 0.0 0.0
H -4.243006 5.282727 -0.860396 0.0 0.1 0.0
H -5.493606 3.734227 -2.312196 -0.1 0.0 -0.1
H -6.658806 0.110227 -2.873396 -0.1 0.1 0.0
H -6.883806 1.864027 -2.634296 0.0 0.0 -0.1
H -6.517806 0.822127 -1.240896 0.1 0.0 -0.1
H 1.562794 0.615827 -2.779696 0.0 -0.1 0.1
H 3.770694 -0.485573 -2.496496 0.0 0.0 0.0
H 4.101494 -2.106273 -0.664696 0.1 -0.1 0.0
H 2.293894 -2.596173 0.909504 0.0 -0.1 0.1
H -1.037606 -2.345073 2.373504 0.1 -0.1 0.0
H 0.721494 -2.128073 2.576004 0.0 0.0 0.0
H 0.093194 -3.371373 1.451504 0.0 0.0 0.0
O 9.429094 1.794627 -0.246096 0.4 -0.1 0.1
C 8.410994 2.240927 -1.012496 -0.2 0.1 -0.2
O 8.647594 2.831527 -2.032296 0.1 -0.1 0.2
C 7.033494 1.979127 -0.516596 -0.2 -0.1 0.1
C 5.987694 2.743027 -1.043496 0.3 -0.1 0.0
C 4.697794 2.584227 -0.588296 0.0 -0.1 0.0
C 4.420294 1.642027 0.403104 -0.1 0.3 -0.2
S 2.841594 1.457227 1.096104 -1.1 0.6 -0.1
C 5.454794 0.850927 0.906904 -0.2 0.0 0.0
C 6.743294 1.014327 0.451404 0.1 0.3 -0.2
H 9.124694 1.387627 0.575004 -0.1 0.2 -0.2

      But first, you need to know how they work.

      If you’ve ever braved the scratchy bark and creepy crawly insects that come with tree climbing, you know to start at the base and work your way up. Sure, you could start at the top if you have an airplane or really strong drone to jump from, but it's better for your wall and non-broken limbs to climb up instead. Computer scientists also start from the base (root).

      Let’s say we have a tree of trees (how meta), organized so that nodes to the left of a node come alphabetically before the parent node, while nodes to the right are greater (alphabetically). In computer science terms, alphabetical order makes A less than B, while C is greater than B.

      In this case, Oak starts with O, which is greater than G, so it goes to the right of Gnarltree (Yoda's favorite tree ). Catalpa starts with C, which is less than G, so it goes to the left of Gnarltree, and…you get the idea.

      If you're keeping score, you might notice that this tree is not complete (if it was, it would have every leaf on every level except the final level and all the leaves would be on the left) or full (where every node except the leaves has two nodes), and has a height of 3.


      For a pre-order traversal, you'll want to start in the middle, go left as far as possible until you need to go back, then head down the right side.


      Say you've got three nodes:

      To search in pre-order, you'll look at the middle node, then go immediately to the left one. Once you've looked at that, you'll head back up the middle, look at that node, and then check the right node finally. That's the algorithm. It's pretty simple.

      Until you get more than three nodes.

      To travel that tree of trees, you'll look at the root, then head all the way down as far left as possible. In pseudocode (algorithms written in language that looks like code but can’t actually run as code without being translated into your favorite programming language), the process would look something like this:

      FUNCTION pre_order(node)	/*function pre_order*/
      	IF node:		/*visit the node */
      				/*(as long as one is there to visit)*/
      	ELSE:			/*if there is no node present,*/
      	END IF			/*pull out of the recursion by one level*/
      	pre_order(left_node)	/*run pre_order on the node to the node’s left*/
      	pre_order(right_node)	/*run pre_order on the node to the node’s right*/

      Pre-order traversal of this tree would begin at the root, because that's what the root's for.

      	IF Gnarltree:


      Then pre-order would find Gnarltree’s left node, Catalpa:

      pre_order (Catalpa)
      	IF Catalpa


      Then it's going to keep moving to the left to find Aspen:

      pre_order (Aspen)
      	IF (Aspen)


      And then Aspen’s left node. Erm…if it existed.

      Since it's empty, we're going to get something different from the method.


      Aspen doesn’t have a left node, making it awfully hard to visit. Instead, the algorithm's going to run everything in the else conditional, making it back up to Aspen.

      pre_order (NULL)
      	IF NULL:	/*this test fails this time*/
      	ELSE:		/*the else block runs instead*/
      	END IF


      Since the left is done, you'll head to the right: Baobab.

      	IF Baobab:


      The Baobab, despite representing the circle of life (or something like that) has no children, meaning that the algorithm's going to head straight back up to Aspen.

      Baobab's done. There's nothing left to see, meaning we'll never visit it again. The algorithm's going to head up to Aspen without looking back.


      Now pre_order has run on all the nodes to both the left and right of Aspen, which means it's going to pull back up one level to Catalpa. Now that that left subtree's all sorted, it can look at the right subtree.


      Same thing's going to happen with Aspen. It has no other leads, so it's going to head back up to Catalpa. Since pre_order's now finished on Catalpa’s left node, it'll move on to the right node, Ent.

      	IF Ent:


      Just like Baobab, Ent has no children (which is actually pretty accurate, when you think about it), so the recursion pulls out another level, back to Catalpa.


      Now that we've seen all of Catalpa's descendants, we'll head back up to the root. It's back to Gnarltree for the algorithm.


      Since we’ve fully explored Gnarltree’s left subtree—that tree within a tree—circled in red, the algorithm can now look at the right subtree boxed in purple.


      We continue with pre_order(Gnarltree) and go to Oak, Gnarltree’s right node.

      	IF Oak:


      Oak doesn’t have a left node, meaning that we can just skip on over to its right side. The algorithm would technically check it, but…you've got better things to do than spend more time on null values.

      Oak's right node, Whomping Willow, is where we go next (abbreved to WW).

      	IF WW:


      You get the idea. The algorithm's going to head to the left: Truffula Tree (TT).

      	IF TT:


      Truffula Tree has no left or right children (which is a totally valid life choice), meaning that the algorithm's going to return back to pre_order(WW).


      Whomping Willow’s right node (the final unvisited node in the tree) is Yew.

      	IF Yew:


      Yew—being the final leaf in the tree—doesn't have any right or left nodes. Since it's the last of its kind, it's going to make the algorithm return back and upwards through the tree to pre_order(Gnarltree), which also returns.



      You’ve successfully climbed this tree in pre-order. Good luck making it back down.

      Your route through the branches went something like this:

      Gnarltree → Catalpa → Aspen → Baobab → Ent → Oak → Whomping Willow → Truffula Tree → Yew.